it's up
Here the text breaks off for crystal structures:
____________
No. 1
The following is a computed powder diffractogram of Sm4MgCu4O10. It was derived from a PBE-relaxed structure, using CuKα.
Lines closer than 0.1° are merged.

Atomic structure:
Lattice parameters (Å, degrees): 5.4363 5.6404 8.8053 72.96 72.20 89.16
Positions (direct):
Sm: 0.0000 0.0000 0.0000
Sm: 0.2193 0.2483 0.4807
Sm: 0.4447 0.5030 0.0501
Sm: 0.7424 0.8169 0.4349
Mg: 0.7357 0.9068 0.7548
Cu: 0.1375 0.5513 0.7503
Cu: 0.3492 0.8872 0.2334
Cu: 0.5510 0.3385 0.6867
Cu: 0.8352 0.3872 0.2444
O: 0.0491 0.8454 0.5616
O: 0.0654 0.6293 0.2637
O: 0.1128 0.1657 0.2235
O: 0.4225 0.9400 0.9533
O: 0.5048 0.6137 0.7581
O: 0.5407 0.5887 0.2929
O: 0.5892 0.1227 0.5594
O: 0.6345 0.1278 0.2075
O: 0.8775 0.6663 0.9372
O: 0.9626 0.2233 0.7450

Most intense lines, 5° ≤ 2θ ≤ 70°, by angle:
2θ = 22.56°, d = 3.941 Å, I 234; 2θ = 22.89°, d = 3.885 Å, I 351; 2θ = 31.40°, d = 2.849 Å, I 492; 2θ = 31.74°, d = 2.819 Å, I 528; 2θ = 31.84°, d = 2.811 Å, I 311; 2θ = 32.41°, d = 2.762 Å, I 1000; 2θ = 32.96°, d = 2.718 Å, I 517; 2θ = 40.71°, d = 2.216 Å, I 201; 2θ = 45.41°, d = 1.997 Å, I 146; 2θ = 46.06°, d = 1.971 Å, I 293; 2θ = 46.76°, d = 1.943 Å, I 206; 2θ = 57.63°, d = 1.599 Å, I 205

---

No. 2
The following is a computed powder diffractogram of Er6Ge11. It was derived from a PBE-relaxed structure, using CuKα.
Lines closer than 0.1° are merged.

Atomic structure:
Lattice parameters (Å, degrees): 43.6835 43.6835 4.0385 90.12 90.12 5.39
Positions (direct):
Er: 0.0000 0.0000 0.0000
Er: 0.0360 0.0360 0.5060
Er: 0.2547 0.2547 0.0000
Er: 0.2919 0.2919 0.5169
Er: 0.3333 0.3333 0.9994
Er: 0.3694 0.3694 0.5050
Er: 0.5873 0.5873 0.0038
Er: 0.6251 0.6251 0.5397
Er: 0.6658 0.6658 0.0397
Er: 0.7036 0.7036 0.5031
Er: 0.9214 0.9214 0.9995
Er: 0.9586 0.9586 0.5167
Ge: 0.0619 0.0619 0.0117
Ge: 0.0913 0.0913 0.5027
Ge: 0.1109 0.1109 0.0108
Ge: 0.1383 0.1383 0.0646
Ge: 0.1525 0.1525 0.5661
Ge: 0.1799 0.1799 0.5095
Ge: 0.1993 0.1993 0.0028
Ge: 0.2289 0.2289 0.5053
Ge: 0.3955 0.3955 0.0119
Ge: 0.4281 0.4281 0.4993
Ge: 0.4474 0.4474 0.0073
Ge: 0.4760 0.4760 0.1274
Ge: 0.5085 0.5085 0.5025
Ge: 0.5283 0.5283 0.0067
Ge: 0.5619 0.5619 0.5035
Ge: 0.7289 0.7289 0.0065
Ge: 0.7619 0.7619 0.5006
Ge: 0.7809 0.7809 0.0103
Ge: 0.8094 0.8094 0.1260
Ge: 0.8421 0.8421 0.5012
Ge: 0.8622 0.8622 0.0052
Ge: 0.8954 0.8954 0.4978

Most intense lines, 5° ≤ 2θ ≤ 70°, by angle:
2θ = 25.23°, d = 3.530 Å, I 222; 2θ = 30.60°, d = 2.922 Å, I 104; 2θ = 32.43°, d = 2.761 Å, I 155; 2θ = 34.76°, d = 2.581 Å, I 1000; 2θ = 35.33°, d = 2.540 Å, I 252; 2θ = 38.02°, d = 2.367 Å, I 222; 2θ = 43.50°, d = 2.080 Å, I 115; 2θ = 44.09°, d = 2.054 Å, I 227; 2θ = 44.89°, d = 2.019 Å, I 193; 2θ = 58.39°, d = 1.580 Å, I 131; 2θ = 63.69°, d = 1.461 Å, I 123; 2θ = 64.74°, d = 1.440 Å, I 129

---

No. 3
The following is a computed powder diffractogram of LaNiSnH2. It was derived from a PBE-relaxed structure, using CuKα.
Lines closer than 0.1° are merged.

Atomic structure:
____________
It's up
What is? He hasn't posted in over a year. Don't go getting my hopes up.
i knew this was bait but i took it and check anyways
still disappointed
Fuck you, It will never not make me mad he quit making videos
Why the fuck would you post that image.
Fuck you.
made me check
I fell for the bait
but guys demo's very active on twitch
Fuck you user you baited me.
what the fuck happened to Raiden?
who is this guy again?
It's really the worst to see people actually caring about some anime e-celeb
What's his channel?
What's Demo's youtube avatar supposed to be anyways?
Explosion E
>hurb durb durb durb
ya ya stfu
Is he a neet?
Grenade G
his roommate Clover is a artist and i assume its one of his old works
you bastard
dont make me feel this way
Twitch is shit, his structured videos are miles better. Also he streams at like 4 am for me
I'm surprised he hasn't blocked me from asking when he's gonna make more videos.
Kaboom D
i was actually excited fro a moment, and then i checked
gg OP you goddamn fagoo
his stream was pretty fucking kino when he posted his balls on Sup Forums
It's up.
Replace him with SsethTzeentach.
He is just as funny(not really) and is VIDEO GAMES
his tombstone?
Come on user
don't do this to me
i believe he said once on stream it was an oc he got a commission for when he was younger
There is something that really pisses me off about this guy but I'm not sure what it is. Something about him just comes off as incredibly disingenuous.
Fuck you user
Fuck you
it makes me sad beacuse he made such a good video on drakengurd 3 and i was kind of hopping he make one of nier automata
Who's the Grumpy Jiisan of Sup Forums?
the better question here is he looking from the side or the front?
>both demolition d and mister metokur are Minnesotan
What is it about this state that makes us the best content creators? But also the laziest
He's just a fat alcoholic suffering from depression.
>he make one of nier automata
he did
Probably from the corner, given how the nose is positioned.
An inherent trait of e-fags
Halloween video soon.
>when he posted his balls on Sup Forums
when was this? archive?
The fukin sno yah kno.
He still does twitch streams. He was getting tired of people demanding stuff from him. This is as close to closure you'll ever get from him
he lives with his dad you fucking retard lmao
What's up?
I can't find it anymore sadly
his dad kicked him out months ago, him and clover live together now
Your thread has been reported for improper content.
Sup Forums was created as the videogame board and unrelated content such as taiwanese animation will not be tolerated.
Please desist from such toxic behaviour or leave the board immediately, you are no longer welcome in our new Sup Forums.
It's the current year and we have evolved from that childish hobby to a more mature form of entertainment, playstation threads will be encouraged until the situation improves.
he's not dead though yet
>Grumpy Jiisan
I subscribed.
I'm gonna watch all of his vids.
tolerate this
*unzips john thomas*
Sup Forums is the e-celeb board. Sup Forums doesn't allow e-celebs except Jii-San but he's dead.
What anime should I pick up Sup Forums?
Anti-ironically Made In Abyss because I know you like watching little kids get hurt you fucking sick fuck.
start from the beginning
hi demo
I assure you everything you know about Jim is a lie.
Incase you think he's dead
>he doesn't watch a content creator that structures his twitch streams like youtube videos
the first video I clicked is a reupload of a video from 2008 though
That's just a jap translating his videos.
They're old videos reuploaded, he's dead jim.
the 2016 halloween video?
he's not just some anime e-celeb he's /our/ anime e-celeb
It's really embarrassing to see newfags like you try so hard to fit in and just end up outting yourself as hard as possible
I still miss him so much
I gave up on the hope of him putting up a video a while ago. His streams on twitch are still entertaining tho so there is that at least.
>5 stars for summer wars
I liked it too, but how do you just completely ignore the mind-numbingly retarded main plot device?
Is Demo the Kentaro Miura of anime reviews?
Unironically yes